=====
(1)
## Ag3GeTe3 (PBE)

Data for a relaxed structure of Ag3GeTe3.

- crystal system = monoclinic
- final energy (eV for the cell shown) = -44.40
- energy relative to the elements, uncorrected (kJ/mol of atoms) = 5
- space-group type = P2_1/m

abc: 4.744 9.385 9.391
angles: 106.86 90.00 90.00
Element x y z (fractional)
Te  0.750  0.141  0.435
Te  0.250  0.859  0.565
Te  0.750  0.565  0.858
Te  0.250  0.917  0.083
Te  0.750  0.083  0.917
Te  0.250  0.435  0.142
Ag  0.250  0.673  0.777
Ag  0.750  0.809  0.191
Ag  0.750  0.327  0.223
Ag  0.750  0.778  0.674
Ag  0.250  0.191  0.809
Ag  0.250  0.222  0.326
Ge  0.750  0.274  0.726
Ge  0.250  0.726  0.274



(2)
## TaNb3Bi (PBE)

Data for a relaxed structure of TaNb3Bi.

- crystal system = cubic
- final energy (eV for the cell shown) = -39.83
- energy of formation from the pure elements (meV per atom) = 1222
- space-group type = Pm-3m

abc: 4.959 4.959 4.959
angles: 90.00 90.00 90.00
Element x y z (fractional)
Nb  0.000  0.500  0.000
Nb  0.500  0.000  0.000
Nb  0.000  0.000  0.500
Bi  0.500  0.500  0.500
Ta  0.000  0.000  0.000



(3)
## Cs2KTlF (PBE)

Data for a relaxed structure of Cs2KTlF.

- crystal system = tetragonal
- final energy (eV for the cell shown) = -11.49
- energy relative to the elements, uncorrected (kJ/mol of atoms) = -86
- space-group type = P4/mmm

abc: 5.802 5.802 7.431
angles: 90.00 90.00 90.00
Element x y z (fractional)
Cs  0.000  0.500  0.000
Cs  0.500  0.000  0.000
F  0.000  0.000  0.000
K  0.500  0.500  0.500
Tl  0.000  0.000  0.500



The highest final energy belongs to which entry?
Cs2KTlF



Which formula does entry 3 have?
Cs2KTlF


# Pa3Te5Se (PBE, optimized geometry)
# **Energy relative to the elements, uncorrected**: -779 meV/atom
data_Pa3Te5Se
_symmetry_space_group_name_H-M 'C 1 2/m 1'
_symmetry_Int_Tables_number 12
_cell_length_a 12.8550
_cell_length_b 10.1781
_cell_length_c 10.5490
_cell_angle_alpha 90.00
_cell_angle_beta 108.15
_cell_angle_gamma 90.00
loop_
_symmetry_equiv_pos_as_xyz
'x,y,z'
'-x,-y,-z'
'-x,y,-z'
'x,-y,z'
'x+1/2,y+1/2,z'
'-x+1/2,-y+1/2,-z'
'-x+1/2,y+1/2,-z'
'x+1/2,-y+1/2,z'
loop_
_atom_site_label
_atom_site_fract_x
_atom_site_fract_y
_atom_site_fract_z
Pa1 0.0000 0.0000 0.0000
Pa2 0.0000 0.0000 0.5000
Pa3 0.1619 0.5000 0.1658
Pa4 0.2095 0.5000 0.5848
Te1 0.0000 0.2991 0.0000
Te2 0.0110 0.5000 0.3340
Te3 0.1924 0.1889 0.6245
Te4 0.2458 0.0000 0.0710
Se1 0.0612 0.0000 0.2747


## LaCeInPd (PBE-GGA)

Data for an optimized crystal structure of LaCeInPd.

## Properties
VASP energy (eV/cell): -20.200
Spin magnetization (μB per formula unit): 1.95
E_form (kcal/mol of atoms): -8.11
Symmetry: F-43m, No. 216
DOS(E_F) (states/eV/f.u.): 7.8

Lattice parameters (Å, degrees): 5.159 5.159 5.159 60.00 60.00 60.00
Atoms (fractional coordinates):
Ce: 0.500 0.500 0.500
Pd: 0.000 0.000 0.000
La: 0.250 0.250 0.250
In: 0.750 0.750 0.750


## a
{"formula": "Ba2NaMgAg", "functional": "PBE", "state": "optimized geometry", "vol_a3_per_cell": 231, "lattice_angstrom": [[6.4495, 0.0000, 0.0000], [0.0000, 6.4495, 0.0000], [0.0000, 0.0000, 5.5501]], "species": ["Ba", "Ba", "Na", "Mg", "Ag"], "fractional_positions": [[0.0000, 0.5000, 0.0000], [0.5000, 0.0000, 0.0000], [0.0000, 0.0000, 0.5000], [0.5000, 0.5000, 0.5000], [0.0000, 0.0000, 0.0000]]}



## b
{"formula": "Ba2NaMgAg", "functional": "PBE", "state": "optimized geometry", "vol_a3_per_cell": 227, "lattice_angstrom": [[6.5084, 0.0000, 0.0000], [0.0000, 6.5084, 0.0000], [0.0000, 0.0000, 5.3518]], "species": ["Ba", "Ba", "Na", "Mg", "Ag"], "fractional_positions": [[0.0000, 0.5000, 0.0000], [0.5000, 0.0000, 0.0000], [0.0000, 0.0000, 0.5000], [0.5000, 0.5000, 0.5000], [0.5000, 0.5000, 0.0000]]}



The data favor b; the next most stable structure lies 9.2 kJ/mol of atoms above it.



## a
=====
Reproduce the block earlier on from the first line to the one with "0.500 0.500" verbatim, please.
(1)
## Ag3GeTe3 (PBE)

Data for a relaxed structure of Ag3GeTe3.

- crystal system = monoclinic
- final energy (eV for the cell shown) = -44.40
- energy relative to the elements, uncorrected (kJ/mol of atoms) = 5
- space-group type = P2_1/m

abc: 4.744 9.385 9.391
angles: 106.86 90.00 90.00
Element x y z (fractional)
Te  0.750  0.141  0.435
Te  0.250  0.859  0.565
Te  0.750  0.565  0.858
Te  0.250  0.917  0.083
Te  0.750  0.083  0.917
Te  0.250  0.435  0.142
Ag  0.250  0.673  0.777
Ag  0.750  0.809  0.191
Ag  0.750  0.327  0.223
Ag  0.750  0.778  0.674
Ag  0.250  0.191  0.809
Ag  0.250  0.222  0.326
Ge  0.750  0.274  0.726
Ge  0.250  0.726  0.274



(2)
## TaNb3Bi (PBE)

Data for a relaxed structure of TaNb3Bi.

- crystal system = cubic
- final energy (eV for the cell shown) = -39.83
- energy of formation from the pure elements (meV per atom) = 1222
- space-group type = Pm-3m

abc: 4.959 4.959 4.959
angles: 90.00 90.00 90.00
Element x y z (fractional)
Nb  0.000  0.500  0.000
Nb  0.500  0.000  0.000
Nb  0.000  0.000  0.500
Bi  0.500  0.500  0.500
Ta  0.000  0.000  0.000



(3)
## Cs2KTlF (PBE)

Data for a relaxed structure of Cs2KTlF.

- crystal system = tetragonal
- final energy (eV for the cell shown) = -11.49
- energy relative to the elements, uncorrected (kJ/mol of atoms) = -86
- space-group type = P4/mmm

abc: 5.802 5.802 7.431
angles: 90.00 90.00 90.00
Element x y z (fractional)
Cs  0.000  0.500  0.000
Cs  0.500  0.000  0.000
F  0.000  0.000  0.000
K  0.500  0.500  0.500
Tl  0.000  0.000  0.500



The highest final energy belongs to which entry?
Cs2KTlF



Which formula does entry 3 have?
Cs2KTlF


# Pa3Te5Se (PBE, optimized geometry)
# **Energy relative to the elements, uncorrected**: -779 meV/atom
data_Pa3Te5Se
_symmetry_space_group_name_H-M 'C 1 2/m 1'
_symmetry_Int_Tables_number 12
_cell_length_a 12.8550
_cell_length_b 10.1781
_cell_length_c 10.5490
_cell_angle_alpha 90.00
_cell_angle_beta 108.15
_cell_angle_gamma 90.00
loop_
_symmetry_equiv_pos_as_xyz
'x,y,z'
'-x,-y,-z'
'-x,y,-z'
'x,-y,z'
'x+1/2,y+1/2,z'
'-x+1/2,-y+1/2,-z'
'-x+1/2,y+1/2,-z'
'x+1/2,-y+1/2,z'
loop_
_atom_site_label
_atom_site_fract_x
_atom_site_fract_y
_atom_site_fract_z
Pa1 0.0000 0.0000 0.0000
Pa2 0.0000 0.0000 0.5000
Pa3 0.1619 0.5000 0.1658
Pa4 0.2095 0.5000 0.5848
Te1 0.0000 0.2991 0.0000
Te2 0.0110 0.5000 0.3340
Te3 0.1924 0.1889 0.6245
Te4 0.2458 0.0000 0.0710
Se1 0.0612 0.0000 0.2747


## LaCeInPd (PBE-GGA)

Data for an optimized crystal structure of LaCeInPd.

## Properties
VASP energy (eV/cell): -20.200
Spin magnetization (μB per formula unit): 1.95
E_form (kcal/mol of atoms): -8.11
Symmetry: F-43m, No. 216
DOS(E_F) (states/eV/f.u.): 7.8

Lattice parameters (Å, degrees): 5.159 5.159 5.159 60.00 60.00 60.00
Atoms (fractional coordinates):
Ce: 0.500 0.500 0.500